Data >
'''
# PBE with a Hubbard U MnMoOF2, relaxed
# * V: 13.9 Å³ per atom
# * electronic total energy: -6.044 eV per atom
# * Fermi-level density of states: 0.327 states/eV/atom
data_MnMoOF2
_space_group_name_H-M_alt 'P 4/m m m'
_space_group_IT_number 123
_space_group_name_Hall '-P 4 2'
_cell_length_a 4.0499
_cell_length_b 4.0499
_cell_length_c 4.2256
_cell_angle_alpha 90.00
_cell_angle_beta 90.00
_cell_angle_gamma 90.00
loop_
_atom_site_label
_atom_site_fract_x
_atom_site_fract_y
_atom_site_fract_z
_atom_site_occupancy
Mn1 0.0000 0.0000 0.0000 1
Mo1 0.5000 0.5000 0.5000 1
O1 0.0000 0.0000 0.5000 1
F1 0.0000 0.5000 0.0000 1
'''

Brief >
Start at the top of the material further above and set down each line, ending with the one that has "_cell_length_c 4.2256".

Worked solution >
# PBE with a Hubbard U MnMoOF2, relaxed
# * V: 13.9 Å³ per atom
# * electronic total energy: -6.044 eV per atom
# * Fermi-level density of states: 0.327 states/eV/atom
data_MnMoOF2
_space_group_name_H-M_alt 'P 4/m m m'
_space_group_IT_number 123
_space_group_name_Hall '-P 4 2'
_cell_length_a 4.0499
_cell_length_b 4.0499
_cell_length_c 4.2256